........
Density functional theory data (ωB97M-V/def2-TZVPD) for one molecule with the formula C6H10O.

Structure (XYZ):
```
17
Properties=species:S:1:pos:R:3:nbo_charge:R:1
C -1.0989 2.1192 -0.8843 0.447
H -1.8884 -1.3717 0.7379 0.222
H -0.9255 3.1810 -0.6010 0.107
H 2.4463 -1.1623 0.1538 0.209
O -2.1655 1.7930 -1.3466 -0.520
C -0.9886 -0.7634 0.7331 -0.419
C -0.4501 -0.2756 -0.5832 -0.225
H 0.1999 -2.3392 -0.2351 0.213
C 0.0501 1.1464 -0.6998 -0.515
H -0.9871 -0.6131 -1.4657 0.230
C 1.6157 -1.0854 0.8652 -0.607
H 1.6587 -0.0917 1.3237 0.200
C 0.2893 -1.3389 0.1861 -0.219
H 0.6675 1.4423 0.1570 0.219
H 0.6960 1.2592 -1.5848 0.238
H 1.7870 -1.8160 1.6634 0.215
H -0.9065 -0.0839 1.5802 0.205
```

Energy relative to the best compared isomer or geometry (same formula, charge and spin) = 16.76 kcal/mol
Electronic energy = -309.8157 Ha
Spin multiplicity = 1
Frontier orbital gap = 10.78 eV
Largest force on an atom = 0.5 eV/A
Net charge = 0
HOMO = -9.71 eV

----------

Record 1
ORCA calculation (wB97M-V/def2-TZVPD) on a cluster of 9 separate species, C35H62O21S4 in total at a distorted geometry.

Positions of all 122 atoms, in Å:
C  -3.3698  6.5354  -1.6157
C  -3.5745  5.1873  -1.0001
C  -5.0019  4.9594  -0.4967
O  -5.3166  3.7098  -0.9813
C  -4.3684  3.2596  -1.7244
O  -4.4628  2.1553  -2.2913
O  -3.4178  4.1559  -1.8101
H  -3.9522  7.3585  -1.2017
H  -3.6685  6.5366  -2.6640
H  -2.3308  6.8611  -1.5651
H  -2.8866  5.0255  -0.1703
H  -5.6763  5.7590  -0.8034
H  -5.0895  4.7844  0.5756
C  3.7871  0.6517  -4.6181
C  4.4660  0.7085  -3.3310
C  5.0937  1.9926  -2.8807
O  4.3974  2.4245  -1.7329
C  3.5665  1.4759  -1.3727
O  2.9877  1.4391  -0.2956
O  3.4396  0.5367  -2.3804
H  3.9240  -0.3366  -5.0572
H  4.4291  1.2516  -5.2631
H  2.7601  1.0167  -4.6276
H  5.1424  -0.1430  -3.2562
H  5.1889  2.7665  -3.6424
H  6.1151  1.6758  -2.6698
C  -4.4601  -0.3456  2.1370
C  -3.6145  -0.6917  3.3850
C  -4.1372  0.1027  4.5924
O  -4.9679  -0.7569  5.2879
C  -4.7216  -2.0356  4.8182
O  -5.3330  -3.0683  5.1296
O  -3.9511  -2.0326  3.7183
H  -4.1057  0.6289  1.8008
H  -5.5094  -0.2380  2.4119
H  -4.3164  -0.9870  1.2675
H  -2.5330  -0.5709  3.3228
H  -4.6536  1.0306  4.3467
H  -3.4449  0.4254  5.3700
C  0.7933  -2.0488  4.5588
C  1.5174  -1.6144  5.7818
C  3.0134  -1.5782  5.7488
O  3.1535  -0.2570  5.1327
C  2.1889  0.5739  5.6666
O  2.1727  1.7480  5.5622
O  1.2391  -0.2344  6.1059
H  -0.2622  -1.7995  4.6673
H  0.7514  -3.1245  4.3878
H  1.1390  -1.6680  3.5977
H  1.1165  -2.1897  6.6163
H  3.4841  -2.3941  5.2002
H  3.5054  -1.4023  6.7054
O  1.9985  5.4413  4.2884
S  2.5100  4.5795  3.1808
O  3.7740  3.8317  3.3790
C  1.0567  3.4433  2.8000
C  0.5576  3.8572  1.3773
C  1.0386  5.3005  1.0940
C  2.4996  5.3271  1.5941
H  0.2891  3.8604  3.4519
H  1.4220  2.4227  2.9143
H  0.9309  3.1504  0.6363
H  -0.5251  3.7313  1.3870
H  0.5044  6.0039  1.7328
H  0.7981  5.5667  0.0647
H  2.8981  6.3331  1.7255
H  3.1999  4.7039  1.0379
O  0.5636  -2.9895  -7.3649
S  -0.0818  -2.7900  -6.0977
O  -1.5342  -2.5456  -6.0534
C  0.2216  -4.4120  -5.1999
C  0.2169  -3.8998  -3.7207
C  0.7785  -2.4442  -3.4940
C  0.8169  -1.6767  -4.9622
H  1.2378  -4.6420  -5.5200
H  -0.5332  -5.1546  -5.4584
H  -0.7037  -4.1815  -3.2096
H  1.0360  -4.4257  -3.2302
H  1.7605  -2.3932  -3.0235
H  0.1047  -1.7997  -2.9295
H  1.8581  -1.7144  -5.2826
H  0.5189  -0.6306  -5.0321
O  -6.3109  -3.0375  -2.7309
S  -5.7996  -2.3433  -1.5448
O  -6.3796  -1.1312  -0.9562
C  -5.5382  -3.5123  -0.1988
C  -4.0530  -3.6380  -0.1217
C  -3.3469  -3.2813  -1.4469
C  -3.9965  -1.9924  -1.9617
H  -5.6969  -4.4548  -0.7228
H  -6.1619  -3.3282  0.6760
H  -3.6694  -2.9862  0.6632
H  -3.7971  -4.6182  0.2805
H  -3.5601  -3.9491  -2.2816
H  -2.2666  -3.4193  -1.4013
H  -3.9813  -1.6028  -2.9796
H  -3.8015  -1.1679  -1.2761
O  6.8439  -3.1965  1.1075
S  6.2046  -1.8806  0.7223
O  6.6905  -0.5576  1.2769
C  5.9760  -1.9044  -1.0976
C  4.6995  -2.8615  -1.3335
C  3.6882  -2.5801  -0.3378
C  4.3466  -2.0638  0.9655
........

Copy all of the lines further up word for word.

Density functional theory data (ωB97M-V/def2-TZVPD) for one molecule with the formula C6H10O.

Structure (XYZ):
```
17
Properties=species:S:1:pos:R:3:nbo_charge:R:1
C -1.0989 2.1192 -0.8843 0.447
H -1.8884 -1.3717 0.7379 0.222
H -0.9255 3.1810 -0.6010 0.107
H 2.4463 -1.1623 0.1538 0.209
O -2.1655 1.7930 -1.3466 -0.520
C -0.9886 -0.7634 0.7331 -0.419
C -0.4501 -0.2756 -0.5832 -0.225
H 0.1999 -2.3392 -0.2351 0.213
C 0.0501 1.1464 -0.6998 -0.515
H -0.9871 -0.6131 -1.4657 0.230
C 1.6157 -1.0854 0.8652 -0.607
H 1.6587 -0.0917 1.3237 0.200
C 0.2893 -1.3389 0.1861 -0.219
H 0.6675 1.4423 0.1570 0.219
H 0.6960 1.2592 -1.5848 0.238
H 1.7870 -1.8160 1.6634 0.215
H -0.9065 -0.0839 1.5802 0.205
```

Energy relative to the best compared isomer or geometry (same formula, charge and spin) = 16.76 kcal/mol
Electronic energy = -309.8157 Ha
Spin multiplicity = 1
Frontier orbital gap = 10.78 eV
Largest force on an atom = 0.5 eV/A
Net charge = 0
HOMO = -9.71 eV

----------

Record 1
ORCA calculation (wB97M-V/def2-TZVPD) on a cluster of 9 separate species, C35H62O21S4 in total at a distorted geometry.

Positions of all 122 atoms, in Å:
C  -3.3698  6.5354  -1.6157
C  -3.5745  5.1873  -1.0001
C  -5.0019  4.9594  -0.4967
O  -5.3166  3.7098  -0.9813
C  -4.3684  3.2596  -1.7244
O  -4.4628  2.1553  -2.2913
O  -3.4178  4.1559  -1.8101
H  -3.9522  7.3585  -1.2017
H  -3.6685  6.5366  -2.6640
H  -2.3308  6.8611  -1.5651
H  -2.8866  5.0255  -0.1703
H  -5.6763  5.7590  -0.8034
H  -5.0895  4.7844  0.5756
C  3.7871  0.6517  -4.6181
C  4.4660  0.7085  -3.3310
C  5.0937  1.9926  -2.8807
O  4.3974  2.4245  -1.7329
C  3.5665  1.4759  -1.3727
O  2.9877  1.4391  -0.2956
O  3.4396  0.5367  -2.3804
H  3.9240  -0.3366  -5.0572
H  4.4291  1.2516  -5.2631
H  2.7601  1.0167  -4.6276
H  5.1424  -0.1430  -3.2562
H  5.1889  2.7665  -3.6424
H  6.1151  1.6758  -2.6698
C  -4.4601  -0.3456  2.1370
C  -3.6145  -0.6917  3.3850
C  -4.1372  0.1027  4.5924
O  -4.9679  -0.7569  5.2879
C  -4.7216  -2.0356  4.8182
O  -5.3330  -3.0683  5.1296
O  -3.9511  -2.0326  3.7183
H  -4.1057  0.6289  1.8008
H  -5.5094  -0.2380  2.4119
H  -4.3164  -0.9870  1.2675
H  -2.5330  -0.5709  3.3228
H  -4.6536  1.0306  4.3467
H  -3.4449  0.4254  5.3700
C  0.7933  -2.0488  4.5588
C  1.5174  -1.6144  5.7818
C  3.0134  -1.5782  5.7488
O  3.1535  -0.2570  5.1327
C  2.1889  0.5739  5.6666
O  2.1727  1.7480  5.5622
O  1.2391  -0.2344  6.1059
H  -0.2622  -1.7995  4.6673
H  0.7514  -3.1245  4.3878
H  1.1390  -1.6680  3.5977
H  1.1165  -2.1897  6.6163
H  3.4841  -2.3941  5.2002
H  3.5054  -1.4023  6.7054
O  1.9985  5.4413  4.2884
S  2.5100  4.5795  3.1808
O  3.7740  3.8317  3.3790
C  1.0567  3.4433  2.8000
C  0.5576  3.8572  1.3773
C  1.0386  5.3005  1.0940
C  2.4996  5.3271  1.5941
H  0.2891  3.8604  3.4519
H  1.4220  2.4227  2.9143
H  0.9309  3.1504  0.6363
H  -0.5251  3.7313  1.3870
H  0.5044  6.0039  1.7328
H  0.7981  5.5667  0.0647
H  2.8981  6.3331  1.7255
H  3.1999  4.7039  1.0379
O  0.5636  -2.9895  -7.3649
S  -0.0818  -2.7900  -6.0977
O  -1.5342  -2.5456  -6.0534
C  0.2216  -4.4120  -5.1999
C  0.2169  -3.8998  -3.7207
C  0.7785  -2.4442  -3.4940
C  0.8169  -1.6767  -4.9622
H  1.2378  -4.6420  -5.5200
H  -0.5332  -5.1546  -5.4584
H  -0.7037  -4.1815  -3.2096
H  1.0360  -4.4257  -3.2302
H  1.7605  -2.3932  -3.0235
H  0.1047  -1.7997  -2.9295
H  1.8581  -1.7144  -5.2826
H  0.5189  -0.6306  -5.0321
O  -6.3109  -3.0375  -2.7309
S  -5.7996  -2.3433  -1.5448
O  -6.3796  -1.1312  -0.9562
C  -5.5382  -3.5123  -0.1988
C  -4.0530  -3.6380  -0.1217
C  -3.3469  -3.2813  -1.4469
C  -3.9965  -1.9924  -1.9617
H  -5.6969  -4.4548  -0.7228
H  -6.1619  -3.3282  0.6760
H  -3.6694  -2.9862  0.6632
H  -3.7971  -4.6182  0.2805
H  -3.5601  -3.9491  -2.2816
H  -2.2666  -3.4193  -1.4013
H  -3.9813  -1.6028  -2.9796
H  -3.8015  -1.1679  -1.2761
O  6.8439  -3.1965  1.1075
S  6.2046  -1.8806  0.7223
O  6.6905  -0.5576  1.2769
C  5.9760  -1.9044  -1.0976
C  4.6995  -2.8615  -1.3335
C  3.6882  -2.5801  -0.3378
C  4.3466  -2.0638  0.9655